How does the tax office work on New Year's holidays. How tax offices work. Work of interdistrict inspections

Over the past few years, January has been the shortest month in terms of the number of work shifts in the production calendar in Russia. If before the Russians went to work a couple of days after New Year's Eve, now the rest lasts more than a week. Recently, there have been various news that the Duma deputies want to take away the January holidays and return to the previous order. We remind you how we are resting for the New Year and Christmas in 2018 - the weekend for the January holidays according to the officially approved production calendar.

The weekend in January 2018: how we relax on New Years and Christmas

New Year and Christmas holidays for working Russians in 2017-2018 will last ten days: from December 30, 2017 to January 8, 2018.

# Calculated crystals from another source follow
=====
# 1
For Tb2SmDySc2, a structure optimized by DFT (PBE) gives the simulated powder XRD pattern in this record (Cu Kα (weighted mean of Kα1 and Kα2)).
Neutral-atom scattering factors, no anomalous dispersion.

Top 8 peaks for 2θ = 15–90°, by angle:
| index | d/Å | two_theta | I (rel.) |
| --- | --- | --- | --- |
| 0 6 0 | 2.938 | 30.43 | 100 |
| 1 2 1 | 2.818 | 31.76 | 68 |
| 2 2 0 | 2.808 | 31.87 | 33 |
| 1 4 1 | 2.466 | 36.44 | 56 |
| 2 4 0 | 2.459 | 36.54 | 26 |
| 2 5 0 | 2.272 | 39.67 | 36 |
| 3 0 1 | 1.712 | 53.52 | 24 |
| 3 6 1 | 1.480 | 62.78 | 34 |

Structure:
```
data_Tb2SmDySc2
_chemical_formula_sum 'Tb4 Sm2 Dy2 Sc4'
_space_group_name_H-M_alt 'P n n m'
_space_group_IT_number 58
_space_group_name_Hall '-P 2 2n'
_cell_length_a 5.9231
_cell_length_b 17.6485
_cell_length_c 3.4380
_cell_angle_alpha 90.00
_cell_angle_beta 90.00
_cell_angle_gamma 90.00
loop_
_atom_site_label
_atom_site_fract_x
_atom_site_fract_y
_atom_site_fract_z
Tb1 0.1650 0.1638 0.0000
Sm1 0.0000 0.5000 0.5000
Dy1 0.0000 0.0000 0.5000
Sc1 0.1653 0.3456 0.0000
```


# 2
For AgHF, a structure optimized by DFT (PBE) gives the simulated powder XRD pattern in this record (Cu Kα (weighted mean of Kα1 and Kα2)).
Neutral-atom scattering factors, no anomalous dispersion.

Top 8 peaks for 2θ = 15–90°, by angle:
| index | d/Å | two_theta | I (rel.) |
| --- | --- | --- | --- |
| 0 0 4 | 3.538 | 25.17 | 100 |
| 0 2 1 | 2.435 | 36.91 | 42 |
| 1 1 0 | 2.399 | 37.48 | 38 |
| 1 1 1 | 2.366 | 38.04 | 29 |
| 1 1 2 | 2.272 | 39.67 | 56 |
| 0 2 3 | 2.190 | 41.23 | 30 |
| 1 1 4 | 1.986 | 45.69 | 43 |
| 1 1 6 | 1.682 | 54.56 | 21 |

Structure:
```
data_AgHF
_chemical_formula_sum 'Ag4 H4 F4'
_space_group_name_H-M_alt 'P 21 21 21'
_space_group_IT_number 19
_space_group_name_Hall 'P 2ac 2ab'
_cell_length_a 2.7440
_cell_length_b 4.9444
_cell_length_c 14.1503
_cell_angle_alpha 90.00
_cell_angle_beta 90.00
_cell_angle_gamma 90.00
loop_
_atom_site_label
_atom_site_fract_x
_atom_site_fract_y
_atom_site_fract_z
Ag1 0.2499 0.0886 0.2494
H1 0.2045 0.5005 0.9998
F1 0.0412 0.9998 0.0169
```


# 3
For CeNd3Ho7, a structure optimized by DFT (PBE) gives the simulated powder XRD pattern in this record (Cu Kα (weighted mean of Kα1 and Kα2)).
Neutral-atom scattering factors, no anomalous dispersion.

Top 8 peaks for 2θ = 15–90°, by angle:
| index | d/Å | two_theta | I (rel.) |
| --- | --- | --- | --- |
| 0 0 3 | 2.896 | 30.88 | 33 |
| 2 0 1 | 2.876 | 31.10 | 100 |
| 0 2 2 | 2.495 | 36.00 | 69 |
| 2 0 4 | 1.769 | 51.68 | 24 |
| 2 2 0 | 1.760 | 51.97 | 24 |
| 0 2 5 | 1.510 | 61.42 | 15 |
| 2 2 3 | 1.504 | 61.68 | 28 |
| 0 4 1 | 1.501 | 61.81 | 14 |

Structure:
```
data_CeNd3Ho7
_chemical_formula_sum 'Ce1 Nd3 Ho7'
_space_group_name_H-M_alt 'P 3 m 1'
_space_group_IT_number 156
_space_group_name_Hall 'P 3 -2"'
_cell_length_a 7.0381
_cell_length_b 7.0381
_cell_length_c 8.6882
_cell_angle_alpha 90.00
_cell_angle_beta 90.00
_cell_angle_gamma 120.00
loop_
_atom_site_label
_atom_site_fract_x
_atom_site_fract_y
=====
# Back to the entry

The news about the approval of the production calendar for 2018 is surprising and remarkable in its own way - the media reported this event at least three times during 2017. In the summer, the production calendar was drawn up, approved at the beginning of autumn, and officially approved in the middle of autumn. In fact, we were told the same thing three times, so those who regularly read the latest news did not miss the 2018 work and weekend schedule.

Those who constantly read the news did not miss the message that the State Duma deputies, among the priority bills for the fall of 2017, were going to consider a plan to revise the list of holidays and days off. And the new reform of the holidays was primarily supposed to affect the New Year holidays, which, according to the authors of the initiative, are prohibitively long.

Nothing else was heard about the fate of the bill on a significant reduction in New Year's holidays for working Russians, and it is unlikely that it will affect the next New Year, even if it is adopted. The above dates for New Year's holidays for the next New Year are officially approved and will not need to be revised, like everyone else.

In 2017-2018, the New Year holidays turned out to be ten days due to the fact that the last two days of 2017, which were successfully dropped on Saturday and Sunday, were added to the standard eight days of rest from January 1 to January 8: December 30 and 31.

New Year and Christmas weekends in Russia are enshrined in the Labor Code, which says that in our country January 1-6, as well as January 8 are New Year's holidays, and January 7 is Christmas. All of these days are public holidays.

In total, the Labor Code provides for 14 additional days off per year in connection with holidays. Eight of them are in January.

It is curious that since two of the eight days of New Year's holidays in 2018 fall on Saturday and Sunday, then, according to the existing rules, for these days there is a rule about postponing the day off to another date. True, if usually the next Monday becomes a day off in such cases, then the January weekend is postponed to other months of the year, so that it is convenient for setting days off in connection with other public holidays. On two weekends in January, the government ordered that one of them was postponed to March, the second to May.

The length of the New Years has become a great time in recent years for families to spend this time together. Since school holidays fall on the same dates, the residents of Russia have a good opportunity for the whole family to relax either by traveling during the holidays, or just walking or spending time at home. New Year is a very family holiday and, for all its massiveness, personal, far from any politics or ideology. We hope that the State Duma deputies still will not encroach on the established good order and will not cancel the long January vacation, which is so important for many of our compatriots.

The New Year is always a time of hope for a fast, better future. And although, of course, these hopes are not always justified, Russians, as in childhood, continue to remain optimists and believe that their lives will change with the change of the year. Happy New Years and Merry Christmas to you!

Despite the fact that the New Year holidays this year will last from December 30 to January 8, some organizations will work on holidays. Especially for the readers of "" we have made a small selection of how social and commercial establishments will work on New Year's holidays. Where can you call if you have cut off the gas in your house, a pipe burst, or a child is a little ill.


Most of the Crimean branches of banks are ready to meet you from January 3 to 5, January 6 they will work one hour less than usual. The full working day in commercial organizations begins, as in all other Crimean institutions - from January 9th.

Tax office

But if you did not pay taxes before December 1, and suddenly, during the New Year holidays, your conscience woke up in you, then you can always transfer the debt using the website of the Federal Tax Service of Russia, through the "personal account" service. Although the treasury will not work on New Year's holidays, nevertheless, when the tax officials go to work, the payment will be counted exactly with the number with which it was made. That is, if Ivan Ivanov paid the transport tax on January 5, then he will be credited with the payment with this number, although it will be reflected later.

Housing and communal services

On issues of housing and communal services on weekends, of course, it is better to first contact your housing office or management company (it is better to get a phone number in this case before the holidays). If a pipe breaks in the house - this is the authority of those organizations to which you pay for house maintenance. But if the situation is stalemate, and the ZhEK or MUP does not want to help you, in this case you need to call the hot line of the Ministry of Housing and Utilities.

Telephones work around the clock, including on holidays and weekends:

7978-832-95-95; +7978-947-13-94


In addition, we would like to draw your attention to the fact that from January 9, 2018 the multifunctional center "My Documents", located in the city of Saki, will switch to a new work schedule:

Monday: 8:00 am to 6:00 pm

Tuesday: 8:00 am to 6:00 pm

Wednesday: 8:00 am to 8:00 pm

Thursday: 8:00 am to 6:00 pm

Friday: 8:00 am to 6:00 pm

Saturday: 8:00 am to 1:00 pm

Sunday is a day off.

The multifunctional center "My Documents", located in the city of Bakhchisarai, from January 9, will work according to the following schedule:

Monday: 9:00 am to 7:00 pm

Tuesday: 9:00 am to 7:00 pm

Wednesday: 9:00 am to 8:00 pm

Thursday: 9:00 am to 7:00 pm

Calculated crystals, kept here for reference
'''
Calculated PXRD pattern
Compound: Ti3Nb
Radiation: Cu Kα X-rays
Structure: a structure optimized by DFT (GGA-PBE)
Kinematic intensities with the Lorentz-polarization factor, no thermal factor.

Structural model:
abc: 7.291 8.635 4.444
angles: 90.00 90.00 90.00
Space group Cmcm (No. 63)
Inequivalent atoms, fractional coordinates:
Ti (0.000, 0.111, 0.250) (multiplicity 4)
Ti (0.221, 0.386, 0.250) (multiplicity 8)
Nb (0.000, 0.335, 0.750) (multiplicity 4)

Top 8 peaks for 5 to 70 degrees two-theta, in order of falling intensity:
38.1°, I = 1000, (2 2 1)
40.6°, I = 246, (0 0 2)
41.8°, I = 140, (0 4 0)
66.4°, I = 115, (4 0 2)
50.0°, I = 104, (4 0 0)
43.7°, I = 101, (3 1 1)
33.5°, I = 100, (1 3 0)
25.6°, I = 97, (1 1 1)

=====

Calculated powder diffractogram
Compound: DyHo2In3Cu3
Radiation: λ = 1.5418 Å (Cu Kα)
Structure: a structure optimized by DFT (GGA-PBE)

Crystal structure
abc: 3.8414 7.5363 7.5363
angles: 120.01 90.00 90.00
Fractional coordinates of all 9 atoms:
Dy (0.0000, 0.0000, 0.0000)
Ho (0.0000, 0.1843, 0.5920)
Ho (0.0000, 0.5920, 0.1843)
In (0.5000, 0.3342, 0.3342)
In (0.5000, 0.5916, 0.8499)
In (0.5000, 0.8499, 0.5916)
Cu (0.0000, 0.5917, 0.5917)
Cu (0.5000, 0.2591, 0.9250)
Cu (0.5000, 0.9250, 0.2591)

Largest 8 diffraction maxima, most intense first, 2θ = 5–70°:
| 2θ/deg | intensity |
| --- | --- |
| 33.3 | 100 |
| 36.1 | 69 |
| 36.4 | 49 |
| 41.5 | 26 |
| 67.1 | 24 |
| 56.2 | 21 |
| 61.2 | 21 |
| 47.3 | 19 |

=====

This entry pairs a crystal structure of Ba5Li2Ag2 with its simulated powder diffraction line list. Radiation: λ = 1.5418 Å (Cu Kα). Structure: the PBE geometry in Alexandria.

Structure:
```
data_Ba5Li2Ag2
_chemical_formula_sum 'Ba20 Li8 Ag8'
_space_group_name_H-M_alt 'C 1 c 1'
_space_group_IT_number 9
_space_group_name_Hall 'C -2yc'
_cell_length_a 20.7017
_cell_length_b 10.6206
_cell_length_c 7.4666
_cell_angle_alpha 90.00
_cell_angle_beta 111.09
_cell_angle_gamma 90.00
loop_
_atom_site_label
_atom_site_fract_x
_atom_site_fract_y
_atom_site_fract_z
_atom_site_occupancy
Ba1 0.0000 0.0447 0.0000 1
Ba2 0.0722 0.3849 0.2531 1
Ba3 0.1800 0.1952 0.8519 1
Ba4 0.2876 0.3852 0.4688 1
Ba5 0.3600 0.0447 0.3608 1
Li1 0.3641 0.3046 0.0293 1
Li2 0.4959 0.1954 0.1600 1
Ag1 0.1798 0.1253 0.3543 1
Ag2 0.4299 0.2502 0.7781 1
```

Top 10 peaks for 2θ from 5° to 70°, by intensity:
- 2θ 24.52, rel. 100, hkl 5 1 0
- 2θ 28.90, rel. 84, hkl 5 1 -2
- 2θ 25.58, rel. 71, hkl 0 0 2
- 2θ 27.89, rel. 64, hkl 1 3 -1
- 2θ 14.50, rel. 56, hkl 1 1 -1
- 2θ 31.03, rel. 51, hkl 4 2 1
- 2θ 28.78, rel. 48, hkl 3 3 0
- 2θ 29.41, rel. 37, hkl 1 3 1
- 2θ 42.25, rel. 32, hkl 3 3 2
- 2θ 23.49, rel. 30, hkl 5 1 -1


This entry pairs a crystal structure of BaNaLiAg with its simulated powder diffraction line list. Radiation: λ = 1.5418 Å (Cu Kα). Structure: the PBE geometry in Alexandria.

Structure:
```
data_BaNaLiAg
_chemical_formula_sum 'Ba3 Na3 Li3 Ag3'
_space_group_name_H-M_alt 'R 3 m'
_space_group_IT_number 160
_space_group_name_Hall 'R 3 -2"'
'''
The calculated crystals stop here

Friday: 9:00 am to 7:00 pm

Saturday: 9:00 am to 2:00 pm

Sunday is a day off.


Republican Children's Clinical Hospital (on Titova)

The clinic's specialists begin work on January 9, according to their appointment schedule. In case of an emergency, the hospital accepts a round-the-clock basis. There are always shifts on duty, and the main specialists carry out an inspection. But only if your child just has a runny nose, then you shouldn't rush here right away. In the Children's Clinical Hospital, as we said above, only emergency care is provided when children are in serious condition, or have arrived from other cities and regions of Crimea. And children, for example, from Simferopol with slight discomfort need to be taken not to a clinical hospital, but to a local city one.

Here the page breaks off for materials data
No. 1
Ca7NiIr2O12: simulated powder XRD pattern (Cu Kα (λ = 1.5418 Å)), based on a DFT-relaxed cell (PBE+U, Alexandria).

a b c (Å): 9.3442 9.3442 11.1610
angles (deg): 90.00 90.00 120.00
Space group R32 (No. 155, hexagonal axes)
Unique sites:
Ca: 0.0000 0.0000 0.0000 [3 per cell]
Ca: 0.0000 0.3556 0.5000 [9 per cell]
Ca: 0.0000 0.6362 0.0000 [9 per cell]
Ni: 0.0000 0.0000 0.5000 [3 per cell]
Ir: 0.0000 0.0000 0.2518 [6 per cell]
O: 0.0304 0.1840 0.6358 [18 per cell]
O: 0.0314 0.8399 0.1456 [18 per cell]

Top 8 peaks for 10° ≤ 2θ ≤ 80°, low angle first:
2theta, I (rel.), (hkl)
19.00, 100.0, 1 1 0
19.32, 62.9, 0 1 2
33.21, 72.2, 3 0 0
39.22, 31.0, 0 2 4
43.46, 22.4, 3 1 2
43.92, 50.4, 2 1 4
52.31, 20.0, 1 3 4
59.84, 22.1, 3 2 4



No. 2
Ca2NiIrO6: simulated powder XRD pattern (Cu Kα (λ = 1.5418 Å)), based on a DFT-relaxed cell (PBE+U, Alexandria).

a b c (Å): 5.422 5.623 9.426
angles (deg): 90.00 124.86 90.00
Space group P2_1/c (No. 14)
Unique sites:
Ca: 0.233 0.060 0.248 [4 per cell]
Ni: 0.000 0.000 0.500 [2 per cell]
Ir: 0.500 0.000 0.000 [2 per cell]
O: 0.160 0.194 0.953 [4 per cell]
O: 0.259 0.712 0.948 [4 per cell]
O: 0.353 0.029 0.757 [4 per cell]

Top 8 peaks for 10° ≤ 2θ ≤ 80°, low angle first:
2theta, I (rel.), (hkl)
19.52, 61.3, 0 1 1
20.01, 55.6, 1 0 -2
22.78, 100.0, 1 1 -1
23.00, 45.7, 0 0 2
31.83, 48.0, 0 2 0
32.54, 95.7, 1 1 1
32.65, 95.3, 1 1 -3
46.54, 51.2, 2 2 -2

=====

(1)
This entry pairs a crystal structure of Sm2Tl2Rh3 with its computed XRD peak list. Radiation: copper Kα. Structure: DFT lattice parameters and positions (GGA-PBE).
Lines closer than 0.1° are merged.

Cell: 7.4527 7.4527 7.4527 Å, 109.47 109.47 109.47°
Sites, in units of the cell vectors:
Sm (0.0000, 0.4634, 0.5000)
Sm (0.0366, 0.0366, 0.0366)
Sm (0.4634, 0.5000, 0.0000)
Sm (0.5000, 0.0000, 0.4634)
Tl (0.0000, 0.8808, 0.5000)
Tl (0.5000, 0.0000, 0.8808)
Tl (0.6192, 0.6192, 0.6192)
Tl (0.8808, 0.5000, 0.0000)
Rh (0.0039, 0.2539, 0.7500)
Rh (0.2461, 0.2500, 0.4961)
Rh (0.2500, 0.4961, 0.2461)
Rh (0.2539, 0.7500, 0.0039)
Rh (0.4961, 0.2461, 0.2500)
Rh (0.7500, 0.0039, 0.2539)

Top 12 peaks for 10 to 90 degrees two-theta, in order of rising 2θ:
2θ 25.4, I = 207
2θ 29.4, I = 925
2θ 32.9, I = 986
2θ 36.2, I = 479
2θ 39.2, I = 1000
2θ 42.0, I = 433
2θ 49.7, I = 333
2θ 54.4, I = 487
2θ 60.9, I = 236
2θ 71.0, I = 211
2θ 72.9, I = 415
2θ 82.3, I = 189

---

(2)
This entry pairs a crystal structure of Sm12TlRh6 with its computed XRD peak list. Radiation: copper Kα. Structure: DFT lattice parameters and positions (GGA-PBE).
Lines closer than 0.1° are merged.

Cell: 8.7399 8.7399 8.7399 Å, 109.47 109.47 109.47°
Sites, in units of the cell vectors:
Sm (0.1160, 0.3032, 0.8128)
Sm (0.1872, 0.4904, 0.3032)
Sm (0.1872, 0.8840, 0.6968)
Sm (0.3032, 0.1872, 0.4904)
Sm (0.3032, 0.8128, 0.1160)
Sm (0.4904, 0.3032, 0.1872)
Sm (0.5096, 0.6968, 0.8128)
Sm (0.6968, 0.1872, 0.8840)
Sm (0.6968, 0.8128, 0.5096)
Sm (0.8128, 0.1160, 0.3032)
Sm (0.8128, 0.5096, 0.6968)

Simferopol City Children's Clinical Hospital (on Semashko, 6)

Here on holidays and weekends, doctors will be on duty around the clock, and if necessary, you can always come to an appointment with specialists, if there is no need to call an ambulance. A fully-fledged polyclinic department will begin to work, like other state institutions - from January 9th.

Republican Clinical Hospital named after Semashko

The polyclinic will begin work after January 8, and the inpatient department is open around the clock to receive patients. The work is going on as usual.


Crimean Post offices will not work for only four days on New Year's holidays: January 1, 2, 7 and 8, 2018 - days off for all post offices.

On January 3 - 5, the post office will work as usual, and on January 6, the working day will be reduced by one hour.

Many site visitors want to get more information about the working hours of the tax office, including the work of inspections on weekends and holidays, as well as find out the exact working hours of the tax office they want to contact.

Operating modes of tax inspectorates

In order to understand the working regime of the tax inspectorate, it is necessary to determine which tax inspectorate we are going to contact. There are two types of inspections: district tax inspections, interdistrict inspections. Depending on the type, tax inspectorates will have slightly different working hours and times for receiving citizens. Also, please note that almost all tax inspectorates have an operating room, the opening hours of which differ from those of the inspection.

The work of district inspectorates

District tax inspectorates are intended to provide territorial services to tax entities. The working hours of such inspections are presented in the table.

Schedule / Working hours:

Inspection opening hours: Break: Working hours overtook: Break:
Mon: 09.00-18.00 13.00-13.45 09.00-18.00 without lunch
Tue: 09.00-18.00 13.00-13.45 09.00-20.00 without lunch
cp: 09.00-18.00 13.00-13.45 09.00-18.00 without lunch
Wed: 09.00-18.00 13.00-13.45 09.00-20.00 without lunch
Fri: 09.00-16.45 13.00-13.45 09.00-16.45 without lunch

Attention! These tax offices work on Saturdays, but not on all, but only on the 2nd and 4th of each month. District inspections are closed on Sundays and public holidays.

Work of interdistrict inspections

Interdistrict tax inspectorates have specialized functions, including servicing certain groups of tax entities, as well as performing registration actions and issuing documents. The working hours of such inspections are presented in the table.

Inspection opening hours: Break: Working hours overtook: Break:
Mon: 09.00-18.00 13.00-13.45 09.00-18.00 without lunch
Tue: 09.00-18.00 13.00-13.45 09.00-20.00 without lunch
cp: 09.00-18.00 13.00-13.45 09.00-18.00 without lunch
Wed: 09.00-18.00 13.00-13.45 09.00-20.00 without lunch
Fri: 09.00-16.45 13.00-13.45 09.00-16.45 without lunch

The operating room is open every 2nd and 4th Saturday of the calendar month from 10.00 to 15.00.

Attention! These tax inspectorates, except for the 46th tax inspectorate, also work on the 2nd and 4th Saturday of each month. As for the 46th tax office, this office does not work on Saturdays. Interdistrict inspections are closed on Sundays and holidays.

Check opening times before visiting

Before any visit to the tax office, we strongly recommend that you check the opening hours of a particular tax office on our website. This can be done by going to the page of the inspection you are interested in.